There were no tears shed when we dropped Jax off three weeks ago - only a blanket of sadness as we left town without him. In the back of everyone's mind we had Labor Day.
Jax and Elle the early years
It was like a lot of other goodbyes over the years. He was simply on vacation with his other family for a few weeks - not living in another state. It clearly had not sunk in.
<<<
A relaxed structure of RbSrPaO4. Source: Alexandria via LeMat-Bulk, functional GGA-PBE.

Cell lengths 4.4492, 4.4492, 7.3211 Å; angles 107.69, 107.69, 90.00 degrees
Last column: nearest neighbours and their distance in Å.
Sites, in units of the cell vectors:
Rb (0.6519, 0.6519, 0.3037)  1 O 2.60
Sr (0.3543, 0.3543, 0.7086)  1 O 2.50
Pa (0.0052, 0.0052, 0.0104)  6 O 2.07-2.24
O (0.9873, 0.4873, 0.9747)  2 Pa 2.24
O (0.4873, 0.9873, 0.9747)  2 Pa 2.24
O (0.8485, 0.8485, 0.6970)  1 Pa 2.07
O (0.1655, 0.1655, 0.3311)  1 Pa 2.12

Output
The spin magnetization is 0.000 μB per cell. The value obtained for the total energy is -52.674 eV/f.u. The space-group type is I4mm (107). For the volume, the calculation gives 18.69 Å³ per atom. Its raw formation energy is -2.96 eV/atom.

=====

A relaxed structure of CaReTc. Source: Alexandria via LeMat-Bulk, functional GGA-PBE.

Cell lengths 4.4009, 4.4009, 4.4009 Å; angles 60.00, 60.00, 60.00 degrees
Last column: nearest neighbours and their distance in Å.
Sites, in units of the cell vectors:
Re (0.5000, 0.5000, 0.5000)  4 Tc 2.69
Ca (0.0000, 0.0000, 0.0000)  4 Tc 2.69
Tc (0.7500, 0.7500, 0.7500)  4 Re 2.69, 4 Ca 2.69

Output
The spin magnetization is 0.000 μB per cell. The value obtained for the total energy is -22.192 eV/f.u. The space-group type is F-43m (216). For the volume, the calculation gives 20.09 Å³ per atom. The energy of formation comes out at 0.8747 eV per atom. The energy above the most stable polymorph in this dataset comes out at 533 meV per atom.

=====

A relaxed structure of RbScReH2. Source: Alexandria via LeMat-Bulk, functional GGA-PBE.

Cell lengths 4.1659, 4.9208, 4.1659 Å; angles 90.00, 90.00, 90.00 degrees
Last column: nearest neighbours and their distance in Å.
Sites, in units of the cell vectors:
Sc (0.0000, 0.5000, 0.0000)  2 Re 2.46
Re (0.0000, 0.0000, 0.0000)  4 H 2.08
Rb (0.5000, 0.5000, 0.5000)  4 Sc 2.95, 8 H 3.22
H (0.0000, 0.0000, 0.5000)  2 Re 2.08
H (0.5000, 0.0000, 0.0000)  2 Re 2.08

Output
The spin magnetization is 0.003 μB per cell. The value obtained for the total energy is -21.175 eV/f.u. The space-group type is P4/mmm (123). For the volume, the calculation gives 17.08 Å³ per atom.

=====

A relaxed structure of ZnTe2. Source: Alexandria via LeMat-Bulk, functional GGA-PBE.

Cell lengths 6.3873, 6.3873, 6.3873 Å; angles 60.00, 60.00, 60.00 degrees
Last column: nearest neighbours and their distance in Å.
Sites, in units of the cell vectors:
Zn (0.5000, 0.5000, 0.5000)  12 Te 3.74, 4 Zn 3.91
Zn (0.7500, 0.7500, 0.7500)  12 Te 3.74, 4 Zn 3.91
Te (0.6250, 0.1250, 0.1250)  6 Te 3.19
Te (0.1250, 0.6250, 0.1250)  6 Te 3.19
Te (0.1250, 0.1250, 0.6250)  6 Te 3.19
Te (0.1250, 0.1250, 0.1250)  6 Te 3.19

Output
The spin magnetization is 0.000 μB per cell. The value obtained for the total energy is -6.195 eV/f.u. The space-group type is Fd-3m (227). For the volume, the calculation gives 30.71 Å³ per atom. Its raw formation energy is 0.45 eV/atom.

=====
>>>
Long before Jax had left, he planned to fly home for the Labor Day weekend to spend with our extended family. It was a tradition started by my parents long before Raylan and I created our Family of Five. When we introduced Jax to the tradition he had an immediate connection with the tradition and the family dynamics.
# Between two parts of the article: calculated crystals
********
Entry 1:
The following is a DFT calculation (PBE) of a relaxed structure of ZrCd4.

Properties
Formation enthalpy at 0 K (eV per formula unit): 0.3
Relative energy among the computed polymorphs (kJ per mole of atoms): 11.31
Crystal system: tetragonal
DFT total energy (eV for the cell shown): -11.91

Cell lengths 5.4082, 5.4082, 5.4082 Å; angles 100.32, 100.32, 129.93 degrees
Positions (direct):
Cd 0.7986 0.4126 0.2111
Cd 0.4126 0.2014 0.6140
Cd 0.5874 0.7986 0.3860
Cd 0.2014 0.5874 0.7889
Zr 0.0000 0.0000 0.0000

---

Entry 2:
The following is a DFT calculation (PBE) of a relaxed structure of BeMoIr2.

Properties
Formation enthalpy at 0 K (eV per formula unit): 0.5
Crystal system: orthorhombic
DFT total energy (eV for the cell shown): -31.80

Cell lengths 2.6978, 2.6978, 8.4440 Å; angles 90.00, 90.00, 115.34 degrees
Positions (direct):
Ir 0.0000 0.0000 0.9678
Ir 0.5000 0.5000 0.2548
Mo 0.0000 0.0000 0.5160
Be 0.5000 0.5000 0.7613

---

Entry 3:
The following is a DFT calculation (PBE) of a relaxed structure of Ba3DyRh2O9.

Properties
Crystal system: trigonal
DFT total energy (eV for the cell shown): -100.29
Formation energy without anion corrections (eV per atom): -2.0394

Cell lengths 5.8811, 5.8811, 7.2352 Å; angles 90.00, 90.00, 120.00 degrees
Positions (direct):
O 0.1761 0.3522 0.3201
O 0.3522 0.1761 0.6799
O 0.0000 0.5000 0.0000
Ba 0.3333 0.6667 0.6766
Ba 0.6667 0.3333 0.3234
O 0.8239 0.6478 0.6799
O 0.1761 0.8239 0.3201
O 0.6478 0.8239 0.3201
O 0.5000 0.0000 0.0000
Ba 0.0000 0.0000 0.0000
O 0.5000 0.5000 0.0000
Rh 0.6667 0.3333 0.8395
O 0.8239 0.1761 0.6799
Dy 0.0000 0.0000 0.5000
Rh 0.3333 0.6667 0.1605

---

Entry 4:
The following is a DFT calculation (PBE) of a relaxed structure of Np3BSe6.

Properties
Crystal system: orthorhombic
DFT total energy (eV for the cell shown): -149.41
Formation energy without anion corrections (eV per atom): -0.8297

Cell lengths 6.6376, 8.7957, 8.7957 Å; angles 101.68, 90.00, 90.00 degrees
Positions (direct):
Se 0.7160 0.2127 0.7873
Se 0.6684 0.5890 0.1031
Np 0.4837 0.2752 0.0790
Np 0.9837 0.0790 0.2752
B 0.0323 0.1991 0.8009
Np 0.9837 0.7248 0.9210
Np 0.3992 0.3936 0.6064
Se 0.1684 0.1031 0.5890
Se 0.6684 0.8969 0.4110
B 0.5323 0.8009 0.1991
Se 0.2160 0.7873 0.2127
Se 0.6447 0.9471 0.0529
Se 0.1945 0.6892 0.6315
Se 0.1684 0.4110 0.8969
Se 0.6945 0.3108 0.3685
Np 0.8992 0.6064 0.3936
Se 0.6945 0.6315 0.6892
Np 0.4837 0.9210 0.7248
Se 0.1945 0.3685 0.3108
Se 0.1447 0.0529 0.9471

---

Entry 5:
The following is a DFT calculation (PBE) of a relaxed structure of NaAl6Zn4.

Properties
Formation enthalpy at 0 K (eV per formula unit): 2.0
Crystal system: tetragonal
DFT total energy (eV for the cell shown): -26.90

Cell lengths 6.8318, 6.8318, 6.8318 Å; angles 87.01, 121.74, 121.74 degrees
Positions (direct):
Zn 0.0000 0.1134 0.5830
Al 0.3070 0.5378 0.5378
Al 0.0000 0.7692 0.4622
Zn 0.5304 0.4170 0.4170
Al 0.6930 0.2308 0.2308
Zn 0.4696 0.8866 0.8866
Zn 0.0000 0.5830 0.1134
Al 0.5000 0.0000 0.5000
********
# Here the article continues
I invited Raylan to join us fourteen years ago. He accepted the invitation - offering to come solo. A relief to my parents, his kids and his ex-wives. Try telling your parents "Um I'm dating a twice divorced dad of five. Ooooh forgot to mention - he's 16 years older than I am! AND he's coming to Sun Valley with us." Not exactly music to my parents ears. While it may not have been their dream for their only daughter they welcomed Raylan into the fold from the very beginning.
On Raylan's third Labor Day trip, he wanted to bring Jax and Little Hart along. The kids had spent time with my family on other occasions. It was a great fit. Greta had married Sal a month earlier - we had been living together for 3 months. Raylan wanted Greta's blessing - he asked - she refused. Greta wasn't ready for kids to travel with me and our extended family, maybe next year. Raylan accepted the decision with understanding. In the following months, it would become apparent that Greta did not feel that same way about the kids traveling with her and Sal nor asking for Raylan's blessing.
When Labor Day rolled around the following year, Raylan and I were officially married - 3 months and counting. Raylan was sympathetic to Greta's feelings, but knew her blessing was unlikely to ever come. Her new family was moving forward and ours needed to as well. Greta did not put up a road block to prevent the kids from joining us on the trip until the week before we were scheduled to leave.
Greta and Sal unexpectedly decided to take a trip Labor Day weekend, to a location nearby where we were staying. She insisted the kids split the three day weekend in half. Raylan agreed. It upset me very deeply that Raylan agreed without protest.
I couldn't fathom that Labor Day weekend was the only time available for Greta and Sal to make their trip or if it was the only time that she not take it without the kids. The very thing she had asked Raylan to do a year earlier. Ultimately what I thought fell on deaf ears. The weekend would be split in half.
Jax immediately fell in love with every aspect of the trip. Hanging with his new, very cool uncles - being spoiled rotten by his "new" grandparents - riding bikes - rollerblading - playing games - watching football with everyone. He was in absolute heaven! As you can imagine, our day and 1/2 of non-stop fun quickly came to a screeching halt. Jax was visibly upset that it was ending. A few weeks after the two trips - he asked that he be able to stay the entire weekend next year.
Greta and Raylan struck a deal the following year. She would take the kids every Memorial Day weekend and we would take them every Labor Day weekend. For the past nine years it was a given rather than a question mark if Jax and Little Hart would be apart of the tradition. A tradition that has become an important part of Jax's childhood memories.
Jax and Elle Labor Day 2011This year we changed locations from a six hour drive to a forty five minute one, but the feeling was still the same. Jax flew into our local airport on Friday. Raylan suggested Greta provide the transportation to and from the airport (a 45 minute drive each way) and spend a few hours with Jax on Monday before he caught his flight home.
If it were not for our Labor Day tradition - Jax would not have come home for the weekend. So splitting the weekend was never on the table. Raylan didn't offer and Greta never asked.
Our family and Greta's family have very different dynamics - Jax and Little Hart assume very different roles within those dynamics. While I was glad that we were able to send Jax off together - spending future family vacations and family traditions with the other family would completely change the feel and enjoyment for everyone involved. Most importantly for Jax.
Every night before I went to bed and saw him talking and laughing late into the evening with his "cool" uncles, I was thankful that this tradition had been a one that Jax absolutely loved being apart of.
When Greta arrived to pick up Jax early Monday morning - we said our goodbyes only this time I started to cry uncontrollably. This goodbye wasn't see you in a few weeks - it was just goodbye.